### File
=====
Entry 1:
Structure and computed X-ray powder pattern of Pr7Dy5 (a GGA-PBE-relaxed structure; Cu Kα (λ = 1.5418 Å)).
Lines closer than 0.1° are merged.

The 8 most intense peaks (10° ≤ 2θ ≤ 80°), by angle:
two_theta  d [Å]  I_rel
29.17  3.061  41
30.28  2.952  41
32.05  2.793  100
32.13  2.786  19
36.39  2.469  22
49.92  1.827  20
54.93  1.672  26
59.50  1.554  24

Cell and atoms:
```
Pr7Dy5
1.0
9.483 -1.833 0.000
9.483 1.833 0.000
-6.312 0.000 11.807
Pr Dy
7 5
Cartesian
0.000 0.000 0.000
-2.095 0.000 8.876
-0.004 0.000 5.945
4.208 0.000 8.854
8.445 0.000 2.953
12.657 0.000 5.862
14.749 0.000 2.931
2.117 0.000 2.919
-0.008 0.000 11.776
6.327 0.000 5.903
12.661 0.000 0.031
10.536 0.000 8.888
```

***

Entry 2:
Structure and computed X-ray powder pattern of La2Pm4Er2Tm (a GGA-PBE-relaxed structure; Cu Kα (λ = 1.5418 Å)).
Lines closer than 0.1° are merged.

The 8 most intense peaks (10° ≤ 2θ ≤ 80°), by angle:
two_theta  d [Å]  I_rel
28.38  3.145  36
30.69  2.913  75
31.36  2.852  100
31.47  2.843  49
33.03  2.712  90
33.15  2.703  44
50.01  1.824  39
59.83  1.546  45

Cell and atoms:
```
La2Pm4Er2Tm
1.0
9.463 -1.832 0.000
9.463 1.832 0.000
-4.202 0.000 8.740
La Pm Er Tm
2 4 2 1
Cartesian
1.034 0.000 4.346
13.691 0.000 4.395
-3.153 0.000 7.303
5.247 0.000 1.446
9.478 0.000 7.295
17.878 0.000 1.437
3.163 0.000 7.301
11.562 0.000 1.439
7.362 0.000 4.370
```

***

Entry 3:
Structure and computed X-ray powder pattern of SrZn4Ni9 (a GGA-PBE-relaxed structure; Cu Kα (λ = 1.5418 Å)).
Lines closer than 0.1° are merged.

The 8 most intense peaks (10° ≤ 2θ ≤ 80°), by angle:
two_theta  d [Å]  I_rel
15.45  5.733  34
34.58  2.594  24
38.08  2.363  51
38.36  2.346  86
46.37  1.958  67
46.69  1.945  88
46.85  1.939  100
47.56  1.912  28

Cell and atoms:
```
SrZn4Ni9
1.0
-4.054 4.054 5.817
4.054 -4.054 5.817
4.054 4.054 -5.817
Sr Zn Ni
2 8 18
Cartesian
0.000 0.000 2.909
0.000 0.000 8.726
5.530 1.476 -1.419
1.476 2.579 -1.419
5.530 1.476 1.419
1.476 2.579 1.419
2.579 1.476 4.398
-1.476 2.579 4.398
2.579 1.476 7.236
-1.476 2.579 7.236
4.054 0.000 0.000
1.665 0.516 0.000
4.955 -0.901 2.043
3.538 -2.390 5.817
3.154 -0.901 3.774
3.154 0.901 2.043
3.538 2.390 0.000
4.955 0.901 3.774
1.665 -0.516 5.817
0.000 4.054 0.000
2.390 4.571 0.000
-0.901 3.154 2.043
0.516 1.665 5.817
0.901 3.154 3.774
0.901 4.955 2.043
0.516 6.444 0.000
-0.901 4.955 3.774
2.390 3.538 5.817
```

***

Entry 4:
Structure and computed X-ray powder pattern of Li5Tl5Pd2 (a GGA-PBE-relaxed structure; Cu Kα (λ = 1.5418 Å)).
Lines closer than 0.1° are merged.

The 8 most intense peaks (10° ≤ 2θ ≤ 80°), by angle:
two_theta  d [Å]  I_rel
22.10  4.023  23
23.55  3.778  39
27.16  3.283  29
35.29  2.543  26
=====

### Activity
Print the lines further above from the one with "9.483 -1.833" to the one with "La2Pm4Er2Tm (a" character by character.

### Outcome
9.483 -1.833 0.000
9.483 1.833 0.000
-6.312 0.000 11.807
Pr Dy
7 5
Cartesian
0.000 0.000 0.000
-2.095 0.000 8.876
-0.004 0.000 5.945
4.208 0.000 8.854
8.445 0.000 2.953
12.657 0.000 5.862
14.749 0.000 2.931
2.117 0.000 2.919
-0.008 0.000 11.776
6.327 0.000 5.903
12.661 0.000 0.031
10.536 0.000 8.888
```

***

Entry 2:
Structure and computed X-ray powder pattern of La2Pm4Er2Tm (a GGA-PBE-relaxed structure; Cu Kα (λ = 1.5418 Å)).